Entries =
-- begin --
Model A:
The following is a quantum chemistry calculation of a structure of composition C3H4S, from OMol25.

ORCA input file:
```
! RIJCOSX wB97M-V def2-TZVPD def2/J DEFGRID3
* xyz 0 1
C 1.383 -0.807 1.543
C 1.114 -0.398 0.378
C -0.388 0.320 -0.710
S 2.880 -0.493 0.281
H 1.019 -1.105 2.554
H 0.107 1.220 -1.104
H -1.061 0.479 0.064
H -0.471 -0.655 -1.139
*
```

Summary:
Gap between HOMO and LUMO in eV: 8.16
E_HOMO in eV: -7.75

***

Model B:
The following is a quantum chemistry calculation of a cluster of 2 separate species, C3H4S in total, from OMol25.

ORCA input file:
```
! RIJCOSX wB97M-V def2-TZVPD def2/J DEFGRID3
* xyz 0 1
C -1.363 1.177 1.121
C -0.030 -0.673 0.070
C 0.858 -0.632 -0.912
S -1.183 2.667 1.248
H 0.192 -0.362 1.058
H -1.011 -0.881 -0.082
H 0.605 -1.037 -1.768
H 1.933 -0.260 -0.735
*
```

Summary:
Gap between HOMO and LUMO in eV: 9.51
E_HOMO in eV: -9.55

***

The winner here is model B, beating the second structure by 0.825 eV.

***

Model A:
The following is a quantum chemistry calculation of a cluster of 13 separate species, C78H65N13O26 in total, from OMol25.

ORCA input file:
```
! RIJCOSX wB97M-V def2-TZVPD def2/J DEFGRID3
* xyz 0 1
C -0.083 -8.057 -0.903
C -0.083 -7.181 0.150
C -0.451 -5.826 0.014
C -0.899 -5.353 -1.218
C -0.859 -6.309 -2.347
C -0.437 -7.589 -2.188
N -1.364 -3.966 -1.430
O -1.697 -3.507 -2.520
O -1.326 -3.318 -0.392
H 0.181 -9.086 -0.711
H 0.207 -7.510 1.137
H -0.672 -5.320 0.942
H -1.391 -6.010 -3.238
H -0.466 -8.331 -2.972
C 2.268 4.843 2.383
C 1.628 3.882 1.626
C 0.999 2.832 2.279
C 0.988 2.728 3.655
C 1.662 3.761 4.411
C 2.296 4.839 3.733
N 0.250 1.633 4.378
O -0.252 0.796 3.645
O 0.244 1.623 5.588
H 2.681 5.644 1.788
H 1.600 4.041 0.558
H 0.461 2.118 1.674
H 1.729 3.707 5.488
H 2.757 5.582 4.368
C -0.738 -1.447 -4.825
C -0.998 -0.383 -3.963
C -1.099 0.910 -4.545
C -0.967 1.082 -5.951
C -0.812 -0.033 -6.753
C -0.639 -1.305 -6.215
N -0.919 2.424 -6.551
O -0.527 3.310 -5.820
O -1.212 2.510 -7.751
H -0.569 -2.473 -4.534
H -1.031 -0.496 -2.890
H -1.351 1.755 -3.922
H -0.608 0.195 -7.788
H -0.579 -2.211 -6.801
C -0.978 -2.975 5.077
C -1.924 -3.619 4.220
C -2.801 -4.569 4.746
C -2.712 -4.925 6.130
C -1.835 -4.305 6.951
C -0.999 -3.264 6.447
N -3.687 -5.904 6.691
O -4.168 -5.669 7.811
O -3.976 -6.884 6.063
H -0.178 -2.352 4.704
H -2.090 -3.439 3.168
H -3.478 -5.066 4.067
H -1.855 -4.484 8.016
H -0.298 -2.697 7.041
C 3.933 -0.737 4.218
C 3.477 0.208 3.321
C 4.076 1.430 3.198
C 5.203 1.709 3.998
C 5.719 0.745 4.894
C 4.970 -0.403 5.113
N 5.874 3.060 3.945
O 6.846 3.335 4.671
O 5.512 3.872 3.130
H 3.488 -1.719 4.280
H 2.724 -0.077 2.602
H 3.683 2.161 2.506
H 6.583 1.117 5.425
H 5.301 -1.163 5.805
C 3.897 -1.261 -2.668
C 4.278 -0.002 -3.138
C 5.607 0.309 -3.495
C 6.577 -0.677 -3.351
C 6.235 -1.962 -2.851
C 4.846 -2.212 -2.572
N 8.012 -0.420 -3.688
O 8.787 -1.329 -3.655
O 8.360 0.719 -4.034
H 2.893 -1.542 -2.386
H 3.503 0.748 -3.205
H 5.906 1.166 -4.081
H 7.014 -2.691 -2.683
H 4.597 -3.259 -2.482
C 3.529 -6.767 0.122
C 3.480 -7.372 -1.140
C 3.066 -6.785 -2.295
C 2.617 -5.460 -2.232
C 2.705 -4.776 -0.984
C 3.169 -5.376 0.172
N 1.955 -4.799 -3.339
O 1.728 -5.402 -4.331
O 1.732 -3.583 -3.329
H 3.791 -7.317 1.014
H 3.817 -8.373 -1.367
H 2.996 -7.374 -3.198
H 2.356 -3.760 -0.867
H 3.053 -4.774 1.061
C -5.479 -1.728 3.317
C -5.707 -0.857 2.269
C -4.985 0.290 2.166
C -4.035 0.696 3.077
C -3.858 -0.183 4.170
C -4.478 -1.410 4.268
N -3.339 1.977 2.920
O -2.968 2.580 3.880
O -3.156 2.409 1.762
H -6.082 -2.623 3.308
H -6.308 -1.073 1.398
H -5.330 0.947 1.381
H -3.179 0.028 4.982
H -4.249 -2.098 5.068
C -1.698 7.784 0.721
C -1.275 6.467 0.775
C -1.537 5.577 -0.277
C -2.177 6.082 -1.444
C -2.589 7.396 -1.541
C -2.456 8.275 -0.421
N -2.330 5.214 -2.614
O -1.903 4.039 -2.560
O -2.973 5.676 -3.537
H -1.450 8.550 1.440
H -0.744 6.177 1.670
H -1.185 4.563 -0.153
H -2.983 7.807 -2.459
H -2.645 9.326 -0.579
C 6.770 7.145 -0.445
C 6.380 6.062 0.398
C 5.629 4.998 -0.073
C 5.257 4.921 -1.451
C 5.776 5.893 -2.322
-- stop --

Activity =
What is needed: start at the top of the entries above and reproduce each line, ending with the one that has "3.683 2.161".

Result =
Model A:
The following is a quantum chemistry calculation of a structure of composition C3H4S, from OMol25.

ORCA input file:
```
! RIJCOSX wB97M-V def2-TZVPD def2/J DEFGRID3
* xyz 0 1
C 1.383 -0.807 1.543
C 1.114 -0.398 0.378
C -0.388 0.320 -0.710
S 2.880 -0.493 0.281
H 1.019 -1.105 2.554
H 0.107 1.220 -1.104
H -1.061 0.479 0.064
H -0.471 -0.655 -1.139
*
```

Summary:
Gap between HOMO and LUMO in eV: 8.16
E_HOMO in eV: -7.75

***

Model B:
The following is a quantum chemistry calculation of a cluster of 2 separate species, C3H4S in total, from OMol25.

ORCA input file:
```
! RIJCOSX wB97M-V def2-TZVPD def2/J DEFGRID3
* xyz 0 1
C -1.363 1.177 1.121
C -0.030 -0.673 0.070
C 0.858 -0.632 -0.912
S -1.183 2.667 1.248
H 0.192 -0.362 1.058
H -1.011 -0.881 -0.082
H 0.605 -1.037 -1.768
H 1.933 -0.260 -0.735
*
```

Summary:
Gap between HOMO and LUMO in eV: 9.51
E_HOMO in eV: -9.55

***

The winner here is model B, beating the second structure by 0.825 eV.

***

Model A:
The following is a quantum chemistry calculation of a cluster of 13 separate species, C78H65N13O26 in total, from OMol25.

ORCA input file:
```
! RIJCOSX wB97M-V def2-TZVPD def2/J DEFGRID3
* xyz 0 1
C -0.083 -8.057 -0.903
C -0.083 -7.181 0.150
C -0.451 -5.826 0.014
C -0.899 -5.353 -1.218
C -0.859 -6.309 -2.347
C -0.437 -7.589 -2.188
N -1.364 -3.966 -1.430
O -1.697 -3.507 -2.520
O -1.326 -3.318 -0.392
H 0.181 -9.086 -0.711
H 0.207 -7.510 1.137
H -0.672 -5.320 0.942
H -1.391 -6.010 -3.238
H -0.466 -8.331 -2.972
C 2.268 4.843 2.383
C 1.628 3.882 1.626
C 0.999 2.832 2.279
C 0.988 2.728 3.655
C 1.662 3.761 4.411
C 2.296 4.839 3.733
N 0.250 1.633 4.378
O -0.252 0.796 3.645
O 0.244 1.623 5.588
H 2.681 5.644 1.788
H 1.600 4.041 0.558
H 0.461 2.118 1.674
H 1.729 3.707 5.488
H 2.757 5.582 4.368
C -0.738 -1.447 -4.825
C -0.998 -0.383 -3.963
C -1.099 0.910 -4.545
C -0.967 1.082 -5.951
C -0.812 -0.033 -6.753
C -0.639 -1.305 -6.215
N -0.919 2.424 -6.551
O -0.527 3.310 -5.820
O -1.212 2.510 -7.751
H -0.569 -2.473 -4.534
H -1.031 -0.496 -2.890
H -1.351 1.755 -3.922
H -0.608 0.195 -7.788
H -0.579 -2.211 -6.801
C -0.978 -2.975 5.077
C -1.924 -3.619 4.220
C -2.801 -4.569 4.746
C -2.712 -4.925 6.130
C -1.835 -4.305 6.951
C -0.999 -3.264 6.447
N -3.687 -5.904 6.691
O -4.168 -5.669 7.811
O -3.976 -6.884 6.063
H -0.178 -2.352 4.704
H -2.090 -3.439 3.168
H -3.478 -5.066 4.067
H -1.855 -4.484 8.016
H -0.298 -2.697 7.041
C 3.933 -0.737 4.218
C 3.477 0.208 3.321
C 4.076 1.430 3.198
C 5.203 1.709 3.998
C 5.719 0.745 4.894
C 4.970 -0.403 5.113
N 5.874 3.060 3.945
O 6.846 3.335 4.671
O 5.512 3.872 3.130
H 3.488 -1.719 4.280
H 2.724 -0.077 2.602
H 3.683 2.161 2.506